Tracking Number:  366788

Title:  "The NPT: History's Most Successful Non-Proliferation Treaty." Informative look at the success of the Nuclear Non-Proliferation treaty (NPT) and the accord's likely benefits in the future. (941107)

Date:  19941107


11/07/94 THE NPT: HISTORY'S MOST SUCCESSFUL NON-PROLIFERATION TREATY (Backgrounder on the Nuclear Non-Proliferation Treaty) (1720) By Jane A. Morse USIA Staff Writer Washington -- In 1959, the United Nations General Assembly adopted a resolution proposed by Ireland that called for nuclear weapon states to refrain from providing weapons to non-nuclear states.

Two years later, another Irish draft resolution on the "prevention of the wider dissemination of nuclear weapons" was also adopted by the Assembly. What evolved from that 1961 resolution is history's most successful non-proliferation treaty: the Nuclear Non-Proliferation Treaty (NPT).

With 163 signatories, the NPT currently has the largest number of members of any arms control agreement, and it is the only nuclear non-proliferation agreement that is global in scope.

During the 1960's, when the NPT was negotiated, many observers predicted that there would be 20 to 30 avowed nuclear weapon states today. In fact, this has not happened. Since 1970, when the NPT was brought into force, the ranks of declared nuclear weapons states (the United States, Soviet Union/Russia, Britain, France, and China) have grown in number only because of the breakup of the Soviet Union -- with Belarus, Kazakhstan, and Ukraine inheriting Soviet nuclear weapons on their soil. These three newly independent states -- Belarus, Kazakhstan and Ukraine -- have committed themselves to adhere to the NPT as non-nuclear weapons states "in the shortest possible time."

What is the NPT? In broad terms the NPT constitutes an agreement of non-nuclear states to forego nuclear weapons, to put peaceful nuclear facilities under the international safeguards of the International Atomic Energy Agency (IAEA), and to provide rights to technical cooperation in the peaceful uses of nuclear energy. In addition, for nuclear weapons states, the NPT is an undertaking to end the arms race and pursue nuclear disarmament.

Critics say that the NPT is "discriminatory," because it accepts five nuclear powers and freezes out all others. NPT proponents ask, if every state in the world had nuclear weapons, would anyone feel safer?

In fact, the Treaty did not create nuclear weapon "haves" and "have-nots" -- it only recognized reality and helped stop a deadly trend in its tracks. Furthermore, Article Six of the Treaty obligates the nuclear weapons states to pursue in good faith measures related to nuclear disarmament and to ending the nuclear arms race. With the end of the Cold War, great progress has been made towards this goal. Consider what has been done or agreed to:

-- 2,000 warheads from an entire class of weapons have been eliminated under the Intermediate-Range Nuclear Forces Treaty;

-- The United States and former Soviet Union have made unilateral decisions to withdraw and dismantle thousands more of their tactical nuclear arms; and

-- The START and START II agreements have reversed the strategic arms race and taken more than 17,000 nuclear weapons off missiles and bombers.

The vast majority of NPT members are non-nuclear, non-aligned countries. For them the Treaty provides a number of very important benefits:

-- the security of knowing that their neighbors and regional rivals are not nuclear armed and will not be able effectively to pursue nuclear-weapons ambitions;

-- the fiscal savings and sanity that come from avoidance of regional arms races;

-- the lessening of the risk that nuclear weapons somewhere will be used, with the tragic consequences to human life and the global environment;

-- the meaningful security guarantees and assurances that stem from participation in treaties, security arrangements, regional regimes and global norms; and

-- access to trade in the fullest range of nuclear-related commodities and technologies.

Although the NPT has proved itself to be an effective tool in insuring global security and nuclear stability, it is facing critical crossroads. The Treaty, which entered into force March 5, 1970, provides that its parties shall meet 25 years thereafter to decide whether the Treaty shall continue in force indefinitely, or shall be extended for an additional fixed period or periods.

That critical 25-year mark comes next year; and in April 1995 a conference will be held to determine the future of the NPT.

The Clinton administration maintains that extending the Treaty for a fixed term of years will not work. For one thing, it would not serve the cause of non-proliferation to have countries jockeying for position as the Treaty's expiration date grew near. For another, further extending the Treaty at the end of the fixed period would require its amendment -- a daunting procedural and political hurdle.

Therefore, the United State supports indefinite and unconditional extension of the treaty.

The prevention of the spread of weapons of mass destruction is a central element of U.S. foreign policy. In the fall of 1993, President Bill Clinton reiterated before the United Nations the American view. The president declared:

"We intend to weave non-proliferation more deeply into the fabric of our relationships with the world's nations and institutions. We seek to build a world of increasing pressures for non-proliferation, but increasingly open trade and technology for states that live by accepted international norms."

In short, the United States seeks a global environment in which nations that act responsibly will benefit from full participation in the international community, including both relevant security assurances and thriving commercial relationships. Those that don't act responsibly will become commercial and political outcasts.

The United States has made a point of practicing what its preaches in this regard. It is dismantling approximately 2000 nuclear weapons each year -- the highest rate that technical limitations will permit. In fact, under the START II agreement, the United States is committed to reduce nuclear weapons to 1972 levels, effectively wiping out 20 years of the arms race.

Furthermore, U.S. law prohibits the United States from engaging in nuclear cooperation with any country that does not have a safeguards agreement with the IAEA. This policy, moreover, has been adopted by all major nuclear suppliers.

Throughout its 25 years as a Treaty member, the United States has supported technical cooperation projects in NPT-member countries in such diverse areas as agricultural research, nuclear medicine, and nuclear energy in an effort to enhance the technological knowledge and promote the development and economic well-being of those countries.

Not all countries have abided by the terms of the Treaty. Iran, for example, is a member of the NPT, but there is strong evidence that it is pursuing nuclear weapons technology. Without outside help, Iran is believed to be some years away from its nuclear goals -- and the United States is committed to denying Iran that help.

Iraq's nuclear program, the scope of which became known after the Gulf War, also demonstrated that adherence to the NPT is not by itself a sufficient basis to presume the absence of a proliferation threat. The IAEA, however, has since then strengthened its system of safeguards, reaffirmed the right to conduct special inspections at undeclared sites, and approved a voluntary program of reporting nuclear exports to the Agency. Analysis of the combined data will enhance IAEA's ability to detect undeclared nuclear activities.

In North Korea, the IAEA's inspections have demonstrated to the world its vigilance in pursuing compliance with international safeguards agreements. During the Agency's inspections to verify the completeness and correctness of North Korea's initial declaration, the Agency discovered discrepancies that led it to seek special inspections at undeclared sites.

┌──
No. 1
Computed, not measured: a molecular structure, C28H56O20S8, with wB97M-V/def2-TZVPD.

Its relative energy (zero: lowest compared OMol25 entry of this formula, charge and spin) is 569.8 kcal/mol.

```
! RIJCOSX wB97M-V def2-TZVPD def2/J DEFGRID3
* xyz 0 1
S 1.16 6.22 0.61
S 3.66 1.11 -1.41
S 4.28 -3.02 0.88
S -1.42 2.33 -4.10
S 0.11 -2.41 5.55
S -2.53 -0.95 -3.15
S -0.91 -3.32 -0.43
S -0.94 0.99 1.83
O -0.97 -2.53 6.51
O 1.46 -2.19 6.07
O -0.71 2.33 1.36
O -0.26 2.32 -4.99
O 0.13 -0.16 1.14
O -2.17 0.34 0.95
O -0.20 -4.55 -1.41
O 5.02 -2.06 1.66
O 1.77 7.14 1.51
O 0.78 6.70 -0.74
O -2.25 -4.21 -0.08
O 4.14 2.20 -2.19
O 3.79 -0.25 -1.83
O -1.29 -2.14 -1.15
O -0.16 -3.18 0.84
O 4.76 -4.39 0.62
O -1.07 0.68 3.27
O -2.29 -1.24 -4.58
O -2.48 1.35 -4.19
O -1.40 -0.77 -2.27
C -0.22 -1.21 4.15
C -4.91 -1.76 -2.17
C 0.44 4.39 2.39
C 0.58 -1.85 3.00
C 3.79 -2.17 -0.66
C -1.15 3.41 -1.61
C 2.62 -3.12 1.62
C 0.07 -3.89 4.45
C 2.29 -2.18 -0.66
C 1.85 1.37 -1.06
C 1.84 -2.02 0.81
C -2.20 4.02 -3.79
C -1.41 4.57 -2.60
C -0.74 -5.80 -1.05
C -1.64 -0.07 -0.33
C -0.21 5.53 1.58
C 0.18 -3.32 3.02
C -3.47 -2.32 -2.47
C 2.92 1.96 1.03
C -4.74 -0.28 -1.86
C 1.23 3.57 1.34
C -0.59 2.23 -2.43
C 1.66 1.24 0.53
C -2.22 -5.49 -0.69
C -0.38 -0.79 -0.04
C -3.86 0.35 -2.94
C 4.18 1.31 0.38
C 1.98 4.57 0.38
H 2.13 -1.06 1.24
H -2.07 3.16 -1.09
H 1.71 2.39 -1.40
H 0.46 2.45 -2.64
H 1.83 2.88 1.93
H -0.34 3.69 -0.93
H 4.27 -2.78 -1.43
H 4.30 -1.21 -0.67
H -3.16 3.83 -3.31
H -1.46 0.79 -0.97
H -5.46 -1.97 -3.09
H -2.97 -2.57 -1.53
H -0.76 1.23 -2.03
H 0.70 -4.72 4.77
H 1.20 4.74 3.08
H 0.14 -0.23 4.48
H -0.47 4.95 -2.99
H -0.97 -4.20 4.43
H 0.79 -3.90 2.33
H 0.54 2.99 0.73
H 3.06 4.73 0.41
H -0.61 -6.58 -1.80
H -1.89 5.45 -2.17
H -4.22 0.29 -3.97
H 5.16 1.79 0.31
H -3.43 1.35 -2.88
H 1.80 -3.03 -1.12
H -5.70 0.22 -1.75
H 0.72 1.56 0.98
H -5.47 -2.25 -1.38
H -2.41 -0.69 -0.79
H -2.57 -6.21 0.05
H 0.38 -1.33 2.06
H 1.81 -1.35 -1.18
H 0.79 -2.24 0.96
H 2.66 -2.80 2.66
H -3.51 -3.21 -3.11
H -2.90 -5.59 -1.54
H -0.80 -3.46 2.55
H -0.93 5.27 0.81
H 1.62 4.24 -0.60
H -0.59 -1.85 0.11
H 0.31 -0.66 -0.88
H -2.34 4.53 -4.75
H 2.42 -4.19 1.57
H -0.23 -6.16 -0.16
H 4.28 0.27 0.70
H 1.66 -1.76 3.09
H 1.25 0.66 -1.63
H -0.64 6.33 2.17
H 3.00 2.07 2.11
H -1.28 -1.24 3.90
H 2.93 3.04 0.87
H -4.20 -0.20 -0.91
H -0.17 3.71 2.98
H 1.75 0.19 0.80
*
```



No. 2
Computed, not measured: a molecular structure, C28H56O28S6, with wB97M-V/def2-TZVPD.

Its relative energy (zero: lowest compared OMol25 entry of this formula, charge and spin) is 0.0 kcal/mol.

```
! RIJCOSX wB97M-V def2-TZVPD def2/J DEFGRID3
* xyz 0 1
S -0.26 1.22 0.78
S 0.47 -3.58 0.95
S 6.20 -2.07 -0.84
S 3.03 0.94 -3.38
S -3.04 4.74 4.12
S 1.14 4.86 -1.82
O 0.33 3.91 -2.82
O 0.56 6.19 -2.41
O -4.29 4.13 3.33
O -5.40 -2.34 -1.95
O 1.47 -2.70 1.80
O 6.95 -0.89 -1.12
O 2.99 -0.65 -3.60
O 6.84 -3.31 -0.98
O 2.60 -1.07 4.63
O -0.78 1.98 -0.53
O -2.11 -0.36 -4.01
O 1.93 1.56 -4.00
O 2.50 4.65 -2.09
O 0.48 -3.20 -0.41
O -2.40 5.26 2.81
└──

The situation in North Korea demonstrates a global norm at work and the fact that the NPT is able to function as intended by using an effective verification. When non-compliance was detected in North Korea, the matter was referred to the UN Security Council, and international pressure was placed on North Korea to live up to its obligations as a NPT signatory.

A number of other states are considered technologically advanced enough to manufacture nuclear weapons within a few weeks of a decision to do so. These "threshold" states include Israel, India and Pakistan. None are members of the NPT. The United States and other countries continue to pursue discussions with these states aimed at confidence-building. The goal is to promote regional security -- an environment in which nations can feel safe even without nuclear weapons in their arsenals.

Indeed, with the Cold War over, regional rivalries and nuclear proliferation pose the gravest threats to international security. The nearly universal support that now exists for the NPT is a formidable political force against states that have remained outside the regime, or parties that have not complied with their NPT obligations. By making the NPT a permanent part of the international security structure, the NPT could continue to serve as a stable foundation upon which other vitally needed measures for disarmament can be built.